Job >
Please find "---" and "4.8493" in the material below, and print these two lines and those between.
Source >
____________
Density functional theory data (r²SCAN) for an optimized crystal structure of Li2TlCd.

DFT formation energy   -0.267 eV/atom
DFT total energy   -19.78 eV/atom

```
data_Li2TlCd
_cell_length_a 6.7174
_cell_length_b 6.7174
_cell_length_c 6.7174
_cell_angle_alpha 90.00
_cell_angle_beta 90.00
_cell_angle_gamma 90.00
_symmetry_space_group_name_H-M 'F m -3 m'
_symmetry_Int_Tables_number 225
_symmetry_space_group_name_Hall '-F 4 2 3'
loop_
_atom_site_label
_atom_site_type_symbol
_atom_site_fract_x
_atom_site_fract_y
_atom_site_fract_z
Li1 Li 0.2500 0.2500 0.2500
Tl1 Tl 0.0000 0.0000 0.0000
Cd1 Cd 0.0000 0.0000 0.5000
```

~~~~~

1.
The following is a PBE calculation of a relaxed Mn9Nb2Ge8 crystal, from Materials Project.

## Properties
Space-group type: Pnma (62)
Total DFT energy (no corrections) (eV per formula unit): -143.3
DFT formation energy (eV per atom): -0.194
Total magnetization (μB/f.u.): 21.32

extended XYZ file:
```
76
Lattice="13.2002 0.0000 0.0000 0.0000 5.0732 0.0000 0.0000 0.0000 16.0374" Properties=species:S:1:pos:R:3 pbc="T T T"
Mn 0.6066 1.2683 1.4834
Mn 0.7995 0.0073 6.0636
Mn 0.7995 2.5293 6.0636
Mn 0.8731 3.8049 3.1424
Mn 1.6576 3.8049 15.9630
Mn 1.7726 2.5666 13.2363
Mn 1.7726 5.0432 13.2363
Mn 1.7875 3.8049 10.5556
Mn 2.4917 1.2683 3.9876
Mn 4.1084 3.8049 12.0063
Mn 4.8126 1.2683 2.5369
Mn 4.8275 0.0300 5.2176
Mn 4.8275 2.5066 5.2176
Mn 4.9425 1.2683 7.9443
Mn 5.7270 1.2683 11.1611
Mn 5.8006 2.5439 14.0824
Mn 5.8006 5.0659 14.0824
Mn 5.9935 3.8049 9.5021
Mn 7.2067 1.2683 6.5353
Mn 7.3996 0.0073 1.9551
Mn 7.3996 2.5293 1.9551
Mn 7.4732 3.8049 4.8763
Mn 8.2577 3.8049 8.0931
Mn 8.3727 2.5666 10.8198
Mn 8.3727 5.0432 10.8198
Mn 8.3876 3.8049 13.5005
Mn 9.0918 1.2683 4.0311
Mn 10.7085 3.8049 12.0498
Mn 11.4127 1.2683 5.4818
Mn 11.4276 0.0300 2.8011
Mn 11.4276 2.5066 2.8011
Mn 11.5426 1.2683 0.0744
Mn 12.3271 1.2683 12.8950
Mn 12.4007 2.5439 9.9738
Mn 12.4007 5.0659 9.9738
Mn 12.5936 3.8049 14.5540
Nb 1.7989 1.2683 8.6945
Nb 3.2962 1.2683 15.5918
Nb 3.3039 3.8049 7.5731
Nb 4.8012 3.8049 0.6758
Nb 8.3990 1.2683 15.3616
Nb 9.8962 1.2683 8.4643
Nb 9.9040 3.8049 0.4456
Nb 11.4013 3.8049 7.3429
Ge 0.0872 1.2683 3.9095
Ge 0.6121 1.2683 15.0058
Ge 0.7138 3.8049 8.2971
Ge 1.0960 1.2683 11.2253
Ge 2.7086 3.8049 4.8614
Ge 2.7591 2.5570 1.9080
Ge 2.7591 5.0528 1.9080
Ge 3.0202 1.2683 6.3737
Ge 3.5799 3.8049 14.3924
Ge 3.8410 0.0204 9.9267
Ge 3.8410 2.5162 9.9267
Ge 3.8915 1.2683 12.8801
Ge 5.5041 3.8049 3.2066
Ge 5.8863 1.2683 0.2784
Ge 5.9880 3.8049 6.9871
Ge 6.5129 3.8049 11.9282
Ge 6.6873 1.2683 4.1092
Ge 7.2122 1.2683 9.0503
Ge 7.3139 3.8049 15.7590
Ge 7.6961 1.2683 12.8308
Ge 9.3087 3.8049 3.1573
Ge 9.3592 2.5570 6.1107
Ge 9.3592 5.0528 6.1107
Ge 9.6203 1.2683 1.6450
Ge 10.1800 3.8049 9.6637
Ge 10.4411 0.0204 14.1294
Ge 10.4411 2.5162 14.1294
Ge 10.4916 1.2683 11.1761
Ge 12.1042 3.8049 4.8121
Ge 12.4864 1.2683 7.7403
Ge 12.5881 3.8049 1.0316
Ge 13.1130 3.8049 12.1280
```

---

2.
The following is a PBE calculation of a relaxed Fe7C3 crystal, from Materials Project.

## Properties
Space-group type: Pnma (62)
Total DFT energy (no corrections) (eV per formula unit): -86.3
DFT formation energy (eV per atom): 0.064
Total magnetization (μB/f.u.): 11.99

extended XYZ file:
```
40
Lattice="4.5173 0.0000 0.0000 0.0000 6.8571 0.0000 0.0000 0.0000 11.7621" Properties=species:S:1:pos:R:3 pbc="T T T"
Fe 0.2620 0.4371 2.2461
Fe 0.2620 2.9914 2.2461
Fe 0.3477 1.7143 4.3766
Fe 0.8934 5.1428 3.5357
Fe 1.0145 5.1428 1.0317
Fe 1.1184 3.8834 5.6911
Fe 1.1184 6.4023 5.6911
Fe 1.1403 0.4548 11.5721
Fe 1.1403 2.9737 11.5721
Fe 1.2442 1.7143 6.9128
Fe 1.3653 1.7143 9.4167
Fe 1.9110 5.1428 10.2577
Fe 1.9967 3.8657 8.1271
Fe 1.9967 6.4200 8.1271
Fe 2.5207 0.4371 3.6350
Fe 2.5207 2.9914 3.6350
Fe 2.6063 1.7143 1.5044
Fe 3.1521 5.1428 2.3454
Fe 3.2731 5.1428 4.8493
Fe 3.3771 3.8834 0.1900
Fe 3.3771 6.4023 0.1900
Fe 3.3989 0.4548 6.0710
Fe 3.3989 2.9737 6.0710
Fe 3.5029 1.7143 10.7304
Fe 3.6239 1.7143 8.2264
Fe 4.1697 5.1428 7.3855
____________
Result >
---

2.
The following is a PBE calculation of a relaxed Fe7C3 crystal, from Materials Project.

## Properties
Space-group type: Pnma (62)
Total DFT energy (no corrections) (eV per formula unit): -86.3
DFT formation energy (eV per atom): 0.064
Total magnetization (μB/f.u.): 11.99

extended XYZ file:
```
40
Lattice="4.5173 0.0000 0.0000 0.0000 6.8571 0.0000 0.0000 0.0000 11.7621" Properties=species:S:1:pos:R:3 pbc="T T T"
Fe 0.2620 0.4371 2.2461
Fe 0.2620 2.9914 2.2461
Fe 0.3477 1.7143 4.3766
Fe 0.8934 5.1428 3.5357
Fe 1.0145 5.1428 1.0317
Fe 1.1184 3.8834 5.6911
Fe 1.1184 6.4023 5.6911
Fe 1.1403 0.4548 11.5721
Fe 1.1403 2.9737 11.5721
Fe 1.2442 1.7143 6.9128
Fe 1.3653 1.7143 9.4167
Fe 1.9110 5.1428 10.2577
Fe 1.9967 3.8657 8.1271
Fe 1.9967 6.4200 8.1271
Fe 2.5207 0.4371 3.6350
Fe 2.5207 2.9914 3.6350
Fe 2.6063 1.7143 1.5044
Fe 3.1521 5.1428 2.3454
Fe 3.2731 5.1428 4.8493